5 Tips for Cleaner Code

Radoslav Radenkov
Published in
7 min readFeb 17, 2022
eyeglasses in front of monitor where different tabs with codes are opened

“It is not enough for code to work.”
Robert C. Martin

The code should be clean, readable, and optimized. Had you ever experienced the feeling of trying to read a code with messy syntaxes, smashed-together huge blocks of codes or just some randomly dropped functions? Yep, we had all been there. When a team is working simultaneously on a code, this is probably an everyday problem. There are some hacks that will literally ease your life by learning how to write a clean code.

In this post I will share some good practices that I’ve learned in my software engineering career that can make you code “cleaner”.

What is clean code?

First let’s start with what is clean code. When you hear clean code what is the first thing that comes to your mind? There certainly isn’t one definition what makes code cleaner. Everyone has something in their head, so I’ve asked several people what their definition is. Here is the gist of what I got:

Easy to understand and change — code is written in such manner that tries not to confuse the reader and there are no hidden gotchas;
Simple and direct — like previous one said in different words;
Written with care — some say that writing code is a craft. And as any other craft putting care into it gives better results;
Efficient — uses proper algorithms in an optimal way;
Tested — has sufficient test coverage. Making it safer to change and easier to reason about its intent;
Avoids duplication — There isn’t much more to say that duplicated code is bad code and can lead to lots of problems.

In this post I will focus on the first two, writing code that is easy to understand and change. Even though we write our code to run on computers, it will also be read by humans. Computers understand all code if it compiles. But for humans we need to put a bit more effort. Writing simple and direct code will help others that read it and will help you when have to change something one year from now. And as a bonus you will very likely start to receive more favorable code reviews 😉

Naming things

Naming is major part of writing code. You need to come up with lots of names. Names for variables, functions, function arguments, classes, directories and on and on. Sometimes there are defined rules which help, for example when naming a micro-service or repository for your company, but often there aren’t, and we are left to our own imagination. Which sometimes fails us. There are only two hard things in Computer Science: cache invalidation and naming things.

Phil Karlton

So, can we make things easier? Following certain rules is a good start. Each programming language has its own conventions, what should be capitalized, what shouldn’t. Whether to use camelCase, snake_case, kebab-case, or something else.
Then there are the rules that come from Object Oriented Programming. Classes are nouns because they represent objects, methods are verbs since they do things. But with interfaces thing get tricky. There are different conventions for interfaces. Some prefix them with I IList, other suggest suffixing them with -able or -ing — Equatable, ProgresReporting. My first suggestion about this is to follow the conventions in the code base you are working on. If you have an option to choose then I will suggest dropping any “I” prefixes or any “Protocol” or “Interface” suffixes and name them as you would name any type. The idea of interfaces is to hide the implementation, so implementing type should come up with a good name.
Apart from conventions something that will help a lot is to use names in English with correct spelling. Most programming languages support Unicode characters, with some even allowing you to use emojis for variables and functions. So might look cool and tempting to define log function like this:

// instead of

But in the long run you will see that is not very practical. IDEs auto complete will be harder to use. Searching through you code will also get harder. Modern IDEs have spell checking so just enable it, everyone will be grateful next time when trying to find something code about accounts (and not accounts 😁)

Tip 1: Get familiar with naming conventions and follow them

In addition to conventions there are a few other advice I can offer.
Don’t encode type information into the name. There were times, names were length constrained and IDEs weren’t providing so much context and things like Hungarian notation were good practices. But now they are not needed. Name like accountList doesn’t give any additional information that you can’t see on first glance. Simply accounts is shorter and gives enough context — a collection of Account. When you need to use it, IDE will show what is its actual type and offer appropriate methods.
Don’t rely on comments to explain a name. Try to come up with a better name instead. We will go into that topic in the next section.
Take context into consideration. “State” can mean one thing in context of address, state in a country like USA or India, or completely different thing is the context of object state.

And the most important advice I can give about names is that they should reveal intention. What is this thing intended to be used for or do? Which I know sounds easier that actually is. It takes more time to come up with such names or may require several iterations of renaming something. But start following it and you will see that the result is worth is. Reading the code will start to make more sense.

### These data records were left in the entry by mistake
(1)
Calculated powder XRD pattern
Compound: K2ZnIn3Ga4
Radiation: Cu Kα (weighted mean of Kα1 and Kα2)
Structure: the PBE geometry in Alexandria

Crystal structure
Unit cell a=4.669 b=4.669 c=11.814 alpha=90.00 beta=90.00 gamma=90.00
Fractional positions:
K: 0.000 0.500 0.246
K: 0.500 0.000 0.754
Zn: 0.500 0.500 0.000
In: 0.000 0.000 0.000
In: 0.000 0.500 0.637
In: 0.500 0.000 0.363
Ga: 0.000 0.000 0.500
Ga: 0.000 0.500 0.872
Ga: 0.500 0.000 0.128
Ga: 0.500 0.500 0.500

Most intense lines, 10 to 80 degrees two-theta, low angle first:
15.00 deg, I = 291
20.45 deg, I = 553
29.68 deg, I = 496
31.03 deg, I = 1000
38.57 deg, I = 826
41.00 deg, I = 858
42.90 deg, I = 323
55.69 deg, I = 271
59.04 deg, I = 239
71.44 deg, I = 319

(2)
Calculated powder XRD pattern
Compound: LiPm3Sn4
Radiation: Cu Kα (weighted mean of Kα1 and Kα2)
Structure: the PBE geometry in Alexandria

Crystal structure
Unit cell a=9.044 b=9.044 c=9.044 alpha=150.93 beta=137.24 gamma=52.54
Fractional positions:
Li: 0.000 0.000 0.000
Pm: 0.197 0.697 0.500
Pm: 0.500 0.500 0.000
Pm: 0.803 0.303 0.500
Sn: 0.160 0.879 0.282
Sn: 0.403 0.121 0.282
Sn: 0.597 0.879 0.718
Sn: 0.840 0.121 0.718

Most intense lines, 10 to 80 degrees two-theta, low angle first:
21.25 deg, I = 270
26.25 deg, I = 435
34.01 deg, I = 1000
35.08 deg, I = 318
37.60 deg, I = 190
39.71 deg, I = 221
44.50 deg, I = 119
54.01 deg, I = 189
66.93 deg, I = 109
68.44 deg, I = 136

(3)
Calculated powder XRD pattern
Compound: RbSiSe2N
Radiation: Cu Kα (weighted mean of Kα1 and Kα2)
Structure: the PBE geometry in Alexandria

Crystal structure
Unit cell a=5.794 b=5.794 c=3.246 alpha=90.00 beta=90.00 gamma=90.00
Fractional positions:
Rb: 0.000 0.000 0.000
Si: 0.500 0.500 0.500
Se: 0.000 0.500 0.500
Se: 0.500 0.000 0.500
N: 0.500 0.500 0.000

Most intense lines, 10 to 80 degrees two-theta, low angle first:
30.86 deg, I = 1000
31.59 deg, I = 232
35.27 deg, I = 885
44.21 deg, I = 357
44.75 deg, I = 176
57.78 deg, I = 405
64.31 deg, I = 113
65.97 deg, I = 210
73.02 deg, I = 156
74.59 deg, I = 147

(4)
Calculated powder XRD pattern
Compound: Li6Cd2Pt
Radiation: Cu Kα (weighted mean of Kα1 and Kα2)
Structure: the PBE geometry in Alexandria

Crystal structure
Unit cell a=5.328 b=5.328 c=5.247 alpha=94.70 beta=94.70 gamma=95.41
Fractional positions:
Li: 0.159 0.499 0.339
Li: 0.159 0.841 0.000
Li: 0.499 0.159 0.339
Li: 0.501 0.841 0.661
Li: 0.841 0.159 0.000
Li: 0.841 0.501 0.661
Cd: 0.330 0.330 0.829
Cd: 0.670 0.670 0.171
Pt: 0.000 0.000 0.500

Most intense lines, 10 to 80 degrees two-theta, low angle first:
22.56 deg, I = 517
22.87 deg, I = 1000
32.14 deg, I = 196
39.65 deg, I = 553
39.79 deg, I = 294
39.96 deg, I = 270
40.35 deg, I = 141
46.72 deg, I = 149
51.92 deg, I = 100
71.88 deg, I = 151

(5)
Calculated powder XRD pattern
Compound: InCl2
Radiation: Cu Kα (weighted mean of Kα1 and Kα2)
Structure: the PBE geometry in Alexandria

Crystal structure
Unit cell a=7.707 b=10.346 c=10.184 alpha=90.00 beta=90.00 gamma=90.00
### The data records stop here

Tip 2: Names should reveal intention


We have all seen comments like this:

// Get primary accounts with non zero balanceaccounts.stream()
.filter(account -> account.isPrimary() && !BigDecimal.ZERO.equals(account.getBalance()))

What information do they give us? Nothing more from what you can learn from reading the code. Some of you might say — when I see such comment, I won’t read the code because it says what it does. But will you trust the comment. For sure I won’t. I’ve seen more than enough examples where code was changed, and comment wasn’t. All it does is to bring more noise and in the worst case can even propagate misinformation and confusion. So, comments can actually make code worse.

We shouldn’t use comments to explain bad code. If you feel you need a comment, then consider rewriting your code with better names and shorter functions.

Don’t comment out sections of your code and live them like that. Just delete them. We have version control systems like GIT and SVN if you need to see previous versions. Also be mindful of TODO comments. Not everything can be implemented at once, but also leaving a TODO doesn’t mean you’ve done your job and is some else responsibility to finish it.

What you should use comments for, is to explain your intent. Why something is written, not what is written. The former is clear from the code.

Tip 3: Comments shouldn’t explain what the code does, but why it does it


We all have been lost in reading 100 lines long function. In the middle you forget what was going on 20 lines above. Or there were so many nested if-else statements, you no longer know which one ends in particular closing brace. Modern IDEs help a lot, they highlight brace pairs and allow collapsing whole statements. But this is not an excuse to write such code.

The one most important advice you can follow about functions is to keep them small. If you look around the internet, most people will stay that it shouldn’t take you longer than a minute or two to understand what function does. Splitting long functions into shorter ones helps a lot with readability and understandability of your code. And if you’ve heard about deep call stacks and worry about performance penalty, you shouldn’t. If you have such constraints, you will know it :) For the rest of you, just try to keep functions short and in best case do one thing. Or said in SOLID terms, have single responsibility. Following this advice will also make naming easier. Because if you function does one thing, coming up with a good name won’t be that hard.

The second advice I can give about functions is to avoid side effects.

Side effects are like broken promises. Your function tells that will do one thing, but also does something else. It has a hidden secret. And if you are not careful when reading it, you might not notice it. Or maybe you can add a comment explaining that secret? No, you shouldn’t do that. Comments don’t make up for bad code. Rewrite your functions so they don’t have side effects and do what they promise.

Tip 4: Keep functions short and without side effects

My last advice will be a bit more general. It is about helping you code base stay in good shape. You can do this by following not only naming conventions, but also good coding practices and design patterns. I really hope there are such already in your code and if not, you can discuss it with your peers and introduce them. Try to keep things simple and reduce complexity. And lastly, you have probably heard about the boy scout rule. Always leave the code you change in better shape than it was before that.

Tip 5: Be a good citizen or boy scout ;)

These were my top 5 tips on how to write clean code that is easy to understand by others and your future you. I hope you agree with some or all of them. Or maybe you already follow them. I will be happy to hear your thoughts in the comments.

Robert C. Martin — Clean Code: A handbook of agile software craftsmanship
Swift API design guidelines — https://www.swift.org/documentation/api-design-guidelines/
Quote: https://www.goodreads.com/work/quotes/3779106-clean-code-a-handbook-of-agile-software-craftsmanship-robert-c-martin
Featured Image Credentials: https://www.pexels.com/@kevin-ku-92347

